## Brief
Now duplicate the whole of the calculation results further below word for word.

## Given
<<<
Record 1
Molecular formula: C32H80F8N2O40S14V
Method: DFT, ωB97M-V/def2-TZVPD

Structure (XYZ):
```
177
Properties=species:S:1:pos:R:3:lowdin_charge:R:1
O -8.018 -16.032 -1.344 -0.295
V -6.684 -15.158 -1.193 0.827
O -5.604 -16.009 -0.432 -0.266
N -5.975 -14.863 -3.179 -0.323
S -6.905 -14.071 -4.407 0.614
O -7.583 -14.919 -5.346 -0.219
O -6.406 -12.790 -4.846 -0.231
F -8.058 -13.751 -3.228 -0.247
S -5.056 -15.457 -4.297 0.493
O -4.325 -14.562 -5.155 -0.236
O -5.441 -16.804 -4.767 -0.249
F -3.867 -15.765 -3.242 -0.197
C -9.483 -14.678 1.737 -0.615
F -10.081 -14.709 3.002 0.085
F -9.617 -15.837 1.213 0.202
F -10.101 -13.752 1.046 0.150
S -7.576 -14.242 1.827 0.779
O -7.520 -13.313 3.000 -0.291
O -6.939 -15.521 2.103 -0.279
N -7.237 -13.689 0.202 -0.370
S -6.903 -12.214 0.362 0.591
O -7.875 -11.504 1.229 -0.318
O -5.515 -11.920 0.753 -0.278
C -7.070 -11.273 -1.382 -0.542
F -8.237 -11.592 -1.971 0.109
F -6.949 -9.933 -1.228 0.137
F -6.009 -11.650 -2.133 0.099
O -6.846 -6.391 -1.118 -0.331
S -6.018 -5.841 -0.014 0.759
O -6.556 -5.344 1.301 -0.327
O -4.926 -7.063 0.416 -0.271
C -5.363 -8.152 1.179 -0.310
C -4.254 -8.974 1.823 -0.036
C -4.782 -4.610 -0.685 -0.094
H -6.123 -8.711 0.634 0.103
H -5.928 -7.735 2.012 0.095
H -4.759 -9.645 2.517 0.069
H -3.541 -8.367 2.381 0.088
H -3.809 -9.555 1.015 0.074
H -4.114 -4.380 0.145 0.066
H -5.326 -3.723 -1.007 0.064
H -4.259 -5.037 -1.540 0.067
O -15.970 -12.567 3.458 -0.290
S -15.330 -13.878 3.485 0.655
O -15.596 -14.762 2.356 -0.285
O -13.707 -13.689 3.603 -0.260
C -13.229 -12.733 4.536 -0.284
C -11.713 -12.626 4.532 -0.047
C -15.720 -14.714 5.078 -0.093
H -13.552 -12.882 5.566 0.108
H -13.663 -11.760 4.310 0.118
H -11.297 -12.121 5.404 0.091
H -11.275 -12.200 3.629 0.074
H -11.245 -13.604 4.423 0.041
H -15.271 -14.163 5.905 0.061
H -15.484 -15.774 4.991 0.058
H -16.803 -14.657 5.193 0.070
O -9.728 -9.341 5.038 -0.305
S -8.681 -8.617 4.375 0.616
O -8.098 -7.505 5.094 -0.297
O -7.447 -9.649 4.016 -0.278
C -7.218 -10.716 4.995 -0.243
C -6.752 -10.139 6.375 -0.045
C -9.196 -8.069 2.737 -0.110
H -6.419 -11.283 4.517 0.087
H -8.085 -11.374 5.054 0.105
H -7.674 -9.975 6.933 0.070
H -6.198 -9.211 6.234 0.083
H -6.196 -10.991 6.767 0.069
H -9.597 -8.911 2.174 0.046
H -8.263 -7.638 2.375 0.053
H -9.938 -7.280 2.866 0.084
O -3.380 -19.731 0.862 -0.289
S -3.806 -20.362 2.103 0.675
O -2.866 -20.979 3.036 -0.299
O -4.992 -19.506 2.941 -0.279
C -5.824 -18.601 2.204 -0.273
C -7.243 -19.169 2.187 -0.050
C -4.942 -21.645 1.645 -0.144
H -5.432 -18.270 1.242 0.105
H -5.736 -17.679 2.779 0.100
H -7.522 -19.576 3.159 0.087
H -7.428 -19.796 1.315 0.072
H -7.993 -18.423 1.921 0.067
H -5.496 -21.271 0.784 0.065
H -5.586 -22.017 2.442 0.078
H -4.371 -22.503 1.288 0.066
O -1.090 -13.387 -1.123 -0.295
S -1.359 -12.482 -2.234 0.734
O -0.761 -11.122 -2.482 -0.319
O -1.419 -13.419 -3.613 -0.290
C -0.863 -12.992 -4.805 -0.314
C -0.820 -14.114 -5.850 -0.041
C -3.194 -12.327 -2.254 -0.114
H 0.104 -12.641 -4.443 0.110
H -1.392 -12.107 -5.156 0.118
H -0.386 -13.869 -6.820 0.077
H -1.825 -14.484 -6.050 0.064
H -0.218 -14.878 -5.359 0.080
H -3.528 -11.902 -3.201 0.071
H -3.469 -11.690 -1.414 0.054
H -3.687 -13.295 -2.166 0.047
O -11.771 -12.995 -6.436 -0.303
S -10.531 -12.226 -6.343 0.751
O -9.177 -12.838 -6.679 -0.304
O -10.732 -10.874 -7.385 -0.278
C -12.016 -10.316 -7.382 -0.328
C -11.632 -8.891 -7.706 -0.078
C -10.579 -11.312 -4.837 -0.116
H -12.543 -10.220 -6.432 0.113
H -12.660 -10.735 -8.155 0.124
H -11.048 -8.593 -6.835 0.074
H -12.399 -8.119 -7.757 0.079
H -11.043 -8.878 -8.624 0.085
H -11.594 -11.014 -4.572 0.087
H -9.865 -10.514 -5.040 0.080
H -10.139 -11.897 -4.030 0.050
O -12.163 -7.941 -1.501 -0.334
S -10.804 -8.458 -1.122 0.782
O -10.203 -8.102 0.202 -0.324
O -10.780 -10.156 -1.460 -0.297
C -10.910 -11.004 -0.245 -0.246
C -12.361 -11.011 0.255 -0.052
C -9.557 -8.097 -2.482 -0.078
H -10.219 -10.807 0.574 0.086
H -10.602 -12.015 -0.513 0.082
H -13.027 -11.555 -0.415 0.064
H -12.910 -10.070 0.246 0.074
>>>

## Response
Record 1
Molecular formula: C32H80F8N2O40S14V
Method: DFT, ωB97M-V/def2-TZVPD

Structure (XYZ):
```
177
Properties=species:S:1:pos:R:3:lowdin_charge:R:1
O -8.018 -16.032 -1.344 -0.295
V -6.684 -15.158 -1.193 0.827
O -5.604 -16.009 -0.432 -0.266
N -5.975 -14.863 -3.179 -0.323
S -6.905 -14.071 -4.407 0.614
O -7.583 -14.919 -5.346 -0.219
O -6.406 -12.790 -4.846 -0.231
F -8.058 -13.751 -3.228 -0.247
S -5.056 -15.457 -4.297 0.493
O -4.325 -14.562 -5.155 -0.236
O -5.441 -16.804 -4.767 -0.249
F -3.867 -15.765 -3.242 -0.197
C -9.483 -14.678 1.737 -0.615
F -10.081 -14.709 3.002 0.085
F -9.617 -15.837 1.213 0.202
F -10.101 -13.752 1.046 0.150
S -7.576 -14.242 1.827 0.779
O -7.520 -13.313 3.000 -0.291
O -6.939 -15.521 2.103 -0.279
N -7.237 -13.689 0.202 -0.370
S -6.903 -12.214 0.362 0.591
O -7.875 -11.504 1.229 -0.318
O -5.515 -11.920 0.753 -0.278
C -7.070 -11.273 -1.382 -0.542
F -8.237 -11.592 -1.971 0.109
F -6.949 -9.933 -1.228 0.137
F -6.009 -11.650 -2.133 0.099
O -6.846 -6.391 -1.118 -0.331
S -6.018 -5.841 -0.014 0.759
O -6.556 -5.344 1.301 -0.327
O -4.926 -7.063 0.416 -0.271
C -5.363 -8.152 1.179 -0.310
C -4.254 -8.974 1.823 -0.036
C -4.782 -4.610 -0.685 -0.094
H -6.123 -8.711 0.634 0.103
H -5.928 -7.735 2.012 0.095
H -4.759 -9.645 2.517 0.069
H -3.541 -8.367 2.381 0.088
H -3.809 -9.555 1.015 0.074
H -4.114 -4.380 0.145 0.066
H -5.326 -3.723 -1.007 0.064
H -4.259 -5.037 -1.540 0.067
O -15.970 -12.567 3.458 -0.290
S -15.330 -13.878 3.485 0.655
O -15.596 -14.762 2.356 -0.285
O -13.707 -13.689 3.603 -0.260
C -13.229 -12.733 4.536 -0.284
C -11.713 -12.626 4.532 -0.047
C -15.720 -14.714 5.078 -0.093
H -13.552 -12.882 5.566 0.108
H -13.663 -11.760 4.310 0.118
H -11.297 -12.121 5.404 0.091
H -11.275 -12.200 3.629 0.074
H -11.245 -13.604 4.423 0.041
H -15.271 -14.163 5.905 0.061
H -15.484 -15.774 4.991 0.058
H -16.803 -14.657 5.193 0.070
O -9.728 -9.341 5.038 -0.305
S -8.681 -8.617 4.375 0.616
O -8.098 -7.505 5.094 -0.297
O -7.447 -9.649 4.016 -0.278
C -7.218 -10.716 4.995 -0.243
C -6.752 -10.139 6.375 -0.045
C -9.196 -8.069 2.737 -0.110
H -6.419 -11.283 4.517 0.087
H -8.085 -11.374 5.054 0.105
H -7.674 -9.975 6.933 0.070
H -6.198 -9.211 6.234 0.083
H -6.196 -10.991 6.767 0.069
H -9.597 -8.911 2.174 0.046
H -8.263 -7.638 2.375 0.053
H -9.938 -7.280 2.866 0.084
O -3.380 -19.731 0.862 -0.289
S -3.806 -20.362 2.103 0.675
O -2.866 -20.979 3.036 -0.299
O -4.992 -19.506 2.941 -0.279
C -5.824 -18.601 2.204 -0.273
C -7.243 -19.169 2.187 -0.050
C -4.942 -21.645 1.645 -0.144
H -5.432 -18.270 1.242 0.105
H -5.736 -17.679 2.779 0.100
H -7.522 -19.576 3.159 0.087
H -7.428 -19.796 1.315 0.072
H -7.993 -18.423 1.921 0.067
H -5.496 -21.271 0.784 0.065
H -5.586 -22.017 2.442 0.078
H -4.371 -22.503 1.288 0.066
O -1.090 -13.387 -1.123 -0.295
S -1.359 -12.482 -2.234 0.734
O -0.761 -11.122 -2.482 -0.319
O -1.419 -13.419 -3.613 -0.290
C -0.863 -12.992 -4.805 -0.314
C -0.820 -14.114 -5.850 -0.041
C -3.194 -12.327 -2.254 -0.114
H 0.104 -12.641 -4.443 0.110
H -1.392 -12.107 -5.156 0.118
H -0.386 -13.869 -6.820 0.077
H -1.825 -14.484 -6.050 0.064
H -0.218 -14.878 -5.359 0.080
H -3.528 -11.902 -3.201 0.071
H -3.469 -11.690 -1.414 0.054
H -3.687 -13.295 -2.166 0.047
O -11.771 -12.995 -6.436 -0.303
S -10.531 -12.226 -6.343 0.751
O -9.177 -12.838 -6.679 -0.304
O -10.732 -10.874 -7.385 -0.278
C -12.016 -10.316 -7.382 -0.328
C -11.632 -8.891 -7.706 -0.078
C -10.579 -11.312 -4.837 -0.116
H -12.543 -10.220 -6.432 0.113
H -12.660 -10.735 -8.155 0.124
H -11.048 -8.593 -6.835 0.074
H -12.399 -8.119 -7.757 0.079
H -11.043 -8.878 -8.624 0.085
H -11.594 -11.014 -4.572 0.087
H -9.865 -10.514 -5.040 0.080
H -10.139 -11.897 -4.030 0.050
O -12.163 -7.941 -1.501 -0.334
S -10.804 -8.458 -1.122 0.782
O -10.203 -8.102 0.202 -0.324
O -10.780 -10.156 -1.460 -0.297
C -10.910 -11.004 -0.245 -0.246
C -12.361 -11.011 0.255 -0.052
C -9.557 -8.097 -2.482 -0.078
H -10.219 -10.807 0.574 0.086
H -10.602 -12.015 -0.513 0.082
H -13.027 -11.555 -0.415 0.064
H -12.910 -10.070 0.246 0.074